Assignment =
Filter the rows below: keep the lines with the word "F45".
Listing =
........
An optimized crystal structure of CeSi2Ni2. Source: the Materials Project, functional r2SCAN.

Total moment in μB per formula unit: 0.53
Total DFT energy (no corrections) in eV/atom: -15.277

POSCAR file:
```
CeSi2Ni2
1.0
3.759 0.000 -1.460
-0.567 3.716 -1.460
-0.020 -0.023 5.519
Ni Si Ce
2 2 1
Direct
0.750 0.250 0.500 Ni
0.250 0.750 0.500 Ni
0.370 0.370 0.741 Si
0.630 0.630 0.259 Si
0.000 0.000 0.000 Ce
```

***

An optimized crystal structure of CeNi2Sn2. Source: the Materials Project, functional r2SCAN.

Total moment in μB per formula unit: 1.00
Total DFT energy (no corrections) in eV/atom: -21.393

POSCAR file:
```
CeNi2Sn2
1.0
-3.264 -2.683 -1.358
1.561 -3.225 2.619
-5.848 3.297 7.545
Sn Ni Ce
4 4 2
Direct
0.500 0.000 0.124 Sn
0.000 0.000 0.500 Sn
0.000 0.500 0.876 Sn
0.500 0.500 0.500 Sn
0.000 0.500 0.628 Ni
0.500 0.500 0.000 Ni
0.000 0.000 0.000 Ni
0.500 0.000 0.372 Ni
0.500 0.000 0.760 Ce
0.000 0.500 0.240 Ce
```


First-principles (PBE-GGA) data for a geometry-optimized ZnSb3XeF23 structure, as listed in Materials Project.

Cell: 11.072 10.860 19.188 Å, 90.00 125.09 90.00°
Element x y z (fractional)
Zn1 0.000 0.000 0.000
Zn2 0.000 0.500 0.500
Zn3 0.500 0.000 0.500
Zn4 0.500 0.500 0.000
Sb1 0.193 0.205 0.488
Sb2 0.193 0.295 0.988
Sb3 0.273 0.505 0.747
Sb4 0.273 0.995 0.247
Sb5 0.287 0.708 0.494
Sb6 0.287 0.792 0.994
Sb7 0.713 0.208 0.006
Sb8 0.713 0.292 0.506
Sb9 0.727 0.005 0.753
Sb10 0.727 0.495 0.253
Sb11 0.807 0.705 0.012
Sb12 0.807 0.795 0.512
Xe1 0.297 0.053 0.754
Xe2 0.297 0.447 0.254
Xe3 0.703 0.553 0.746
Xe4 0.703 0.947 0.246
F1 0.051 0.168 0.972
F2 0.051 0.332 0.472
F3 0.055 0.080 0.462
F4 0.055 0.420 0.962
F5 0.086 0.029 0.224
F6 0.086 0.471 0.724
F7 0.109 0.140 0.678
F8 0.109 0.360 0.178
F9 0.124 0.216 0.373
F10 0.124 0.284 0.873
F11 0.134 0.589 0.472
F12 0.134 0.911 0.972
F13 0.166 0.564 0.257
F14 0.166 0.936 0.757
F15 0.171 0.739 0.879
F16 0.171 0.761 0.379
F17 0.187 0.018 0.125
F18 0.187 0.482 0.625
F19 0.199 0.673 0.024
F20 0.199 0.827 0.524
F21 0.234 0.676 0.729
F22 0.234 0.824 0.229
F23 0.251 0.552 0.158
F24 0.251 0.948 0.658
F25 0.267 0.192 0.607
F26 0.267 0.308 0.107
F27 0.304 0.123 0.850
F28 0.304 0.377 0.350
F29 0.324 0.166 0.265
F30 0.324 0.334 0.765
F31 0.333 0.169 0.019
F32 0.333 0.331 0.519
F33 0.340 0.080 0.507
F34 0.340 0.420 0.007
F35 0.357 0.522 0.868
F36 0.357 0.978 0.368
F37 0.378 0.588 0.468
F38 0.378 0.912 0.968
F39 0.410 0.658 0.612
F40 0.410 0.842 0.112
F41 0.442 0.671 0.020
F42 0.442 0.829 0.520
F43 0.445 0.570 0.330
F44 0.445 0.930 0.830
F45 0.463 0.535 0.769
F46 0.463 0.965 0.269
F47 0.537 0.035 0.731
F48 0.537 0.465 0.231
F49 0.555 0.070 0.170
F50 0.555 0.430 0.670
F51 0.558 0.171 0.480
F52 0.558 0.329 0.980
F53 0.590 0.158 0.888
F54 0.590 0.342 0.388
F55 0.622 0.088 0.032
F56 0.622 0.412 0.532
F57 0.643 0.022 0.632
F58 0.643 0.478 0.132
F59 0.660 0.580 0.993
F60 0.660 0.920 0.493
F61 0.667 0.669 0.481
F62 0.667 0.831 0.981
F63 0.676 0.666 0.235
F64 0.676 0.834 0.735
F65 0.696 0.623 0.650
F66 0.696 0.877 0.150
F67 0.733 0.692 0.893
F68 0.733 0.808 0.393
F69 0.749 0.052 0.342
F70 0.749 0.448 0.842
F71 0.766 0.176 0.771
F72 0.766 0.324 0.271
F73 0.801 0.173 0.476
F74 0.801 0.327 0.976
F75 0.813 0.518 0.375
F76 0.813 0.982 0.875
F77 0.829 0.239 0.621
F78 0.829 0.261 0.121
F79 0.834 0.064 0.243
F80 0.834 0.436 0.743
F81 0.866 0.089 0.028
F82 0.866 0.411 0.528
F83 0.876 0.716 0.127
F84 0.876 0.784 0.627
F85 0.891 0.640 0.822
F86 0.891 0.860 0.322
F87 0.914 0.529 0.276
F88 0.914 0.971 0.776
F89 0.945 0.580 0.038
F90 0.945 0.920 0.538
F91 0.949 0.668 0.528
F92 0.949 0.832 0.028

First-principles (PBE-GGA) data for a geometry-optimized YSb3F15 structure, as listed in Materials Project.

Cell: 5.843 11.361 10.575 Å, 90.00 104.48 90.00°
Element x y z (fractional)
Y1 0.242 0.250 0.218
Y2 0.758 0.750 0.782
Sb1 0.000 0.000 0.500
Sb2 0.000 0.500 0.500
Sb3 0.378 0.064 0.846
Sb4 0.378 0.436 0.846
Sb5 0.622 0.564 0.154
Sb6 0.622 0.936 0.154
F1 0.020 0.569 0.671
F2 0.020 0.931 0.671
........
Worked solution =
F45 0.463 0.535 0.769